I thought this didn't come out until like may or June in 97?
The fuck?! That's one of Radiohead's best songs.Paranoid Android, probably
Let Down is honestly one of my favorite songs ever.
From Software's King's Field 4
Paranoid Android by Radiohead
The artist, Tsukasa Saitoh, went on to contribute to Bloodborne's soundtrack with Fromsoft (Laurence, Cleric Beast, the final boss).
OK Computer has a long reach.
Anywhere you turn
I'll be there
Open up your skull
I'll be there
Climbing up the waaaalllsss
Still a album of all time.
Karma Police is Donald Trump
One of the greatest albums ever made. A masterpiece.
I love this album. Probably the most important one I heard in the 90's. So many tears shed over Let Down.
Ah yes. OK Computer. Radiohead's best album, and their second- and third-best, also probably their fourth. And then there's Kid A, and then the rest.
amnesiac > kid a
My favourite too.
Still waiting for another good album. Come on Thom, for old times sake.
I thought this didn't come out until like may or June in 97?
I take it that you didn't like A Moon Shaped Pool then? A pitty, because it's up there with their very best.My favourite too.
## Here the page breaks off for data records
{
  "formula": "C24H25KN5S",
  "method": "ωB97M-V/def2-TZVPD",
  "species": ["C", "C", "H", "N", "H", "C", "N", "C", "H", "N", "H", "H", "H", "H", "C", "C", "H", "H", "C", "C", "H", "H", "C", "C", "K", "H", "C", "C", "H", "C", "N", "H", "C", "H", "H", "N", "C", "C", "C", "C", "C", "C", "H", "H", "S", "H", "H", "C", "H", "H", "C", "H", "C", "C", "H", "H"],
  "coordinates": [[4.13213, -3.57796, -0.11131], [-3.84520, 0.56903, 0.64116], [1.92167, -5.14536, 1.89965], [2.05941, 3.17894, -3.42779], [0.76185, -0.70653, 1.93468], [-0.69051, 2.40602, -0.04351], [-0.99484, -1.59873, 1.27047], [-0.31432, -0.56227, 2.06290], [-1.57546, 4.31984, 0.37344], [-2.69739, -0.72456, -1.00039], [-2.81129, -1.16863, 2.30612], [-0.27542, -4.88104, 0.85025], [-4.48198, 1.71743, -2.46881], [-0.53861, -0.66922, 3.13386], [-4.07362, 1.11956, -1.66660], [2.31387, -4.49452, 1.12879], [-0.58683, -3.65117, -0.35706], [-2.96909, -0.18395, -2.96570], [2.89839, 4.45525, -1.64111], [1.44079, -3.75125, 0.33870], [-1.49124, 1.41430, 3.52449], [2.54303, 1.16589, -0.83458], [2.51876, 2.07995, -1.40952], [-1.27408, 1.72541, 2.51108], [0.02648, -1.04464, -1.26387], [0.18079, -2.87290, 2.48675], [3.19898, -2.86923, -0.84399], [-0.66302, 0.84479, 1.63108], [1.74297, 3.12024, -4.38698], [2.04536, 1.99536, -2.74835], [-0.35599, 1.18910, 0.37382], [2.42245, 5.21533, -3.59470], [-1.32286, 3.34288, 0.76108], [-4.06673, 0.73987, 1.68607], [-5.03955, 2.20054, -0.07856], [1.88302, -2.94261, -0.62845], [-2.45811, -1.44471, 1.30255], [2.92368, 3.26606, -0.87524], [-0.05076, -3.84940, 0.57244], [-3.00800, -0.47472, 0.27498], [-3.22939, 0.05650, -1.94037], [-4.38406, 1.38130, -0.34336], [-2.89377, -2.41670, 1.06648], [-2.08721, 3.70138, 2.73590], [1.51740, 0.60367, -3.53758], [-1.43231, -3.45419, 2.18072], [3.22298, 5.39914, -1.23312], [3.67466, -4.40696, 0.90215], [3.27544, 3.30375, 0.14763], [-0.43295, 2.64361, -1.07055], [2.46581, 4.36977, -2.92433], [5.18579, -3.48874, -0.33354], [-0.58508, -2.94922, 1.71105], [-1.60684, 2.99688, 2.06969], [4.37018, -4.98296, 1.49804], [3.51061, -2.20963, -1.64665]],
  "charge": 1,
  "orbital_gap_ev": 8.22,
  "homo_ev": -10.60,
  "e_lumo_ev": -2.3736
}

---

{
  "formula": "C31H74ClGaN7O8P2",
  "method": "ωB97M-V/def2-TZVPD",
  "species": ["H", "H", "C", "H", "H", "H", "C", "H", "H", "H", "H", "H", "N", "N", "C", "C", "C", "H", "H", "H", "C", "H", "C", "H", "H", "P", "C", "H", "H", "O", "C", "H", "C", "N", "H", "O", "H", "C", "H", "H", "O", "H", "C", "O", "C", "Cl", "N", "H", "H", "H", "C", "H", "H", "C", "H", "H", "H", "C", "H", "H", "C", "H", "C", "P", "N", "H", "C", "H", "H", "C", "H", "H", "H", "H", "H", "H", "O", "H", "H", "H", "H", "Ga", "H", "C", "H", "C", "H", "C", "H", "H", "H", "H", "C", "C", "H", "H", "H", "C", "H", "H", "H", "N", "H", "O", "O", "H", "C", "H", "H", "H", "H", "C", "H", "H", "H", "H", "C", "C", "H", "H", "N", "H", "O", "C"],
Still waiting for another good album. Come on Thom, for old times sake.
I take it that you didn't like A Moon Shaped Pool then? A pitty, because it's up there with their very best.
Theres a huge amount of love for this performance of Paranoid Android, from Radioheads 1997 album OK Computer. Its six minutes are almost a cinematic experience the lighting and camerawork perfectly complement the faultless rendition of the song itself. Does it get any better than this?
I understand for some people this is the greatest, deepest album, but I always thought it was incredibly overrated and not even the best Radiohead album. Such a worthless, subjective accolade, but like lots of men of a certain age think citing this album makes them sophisticated musos. There's people on this forum frequently quote lyrics as if RH lyrics aren't vague sixth form nonsense.
"We've taken guitar music as far is it can go"
Sure, Thomas.
The Bends, Amnesiac, In Rainbows and Moon Shaped Poo are all better RH albums.
When the album was still fresh, they appeared on Later With Jools Holland and opened the show with a live version of Paranoid Android, which was just mind blowing.
amnesiac > kid a
Never understood why people shit on King of Limbs, that album is gorgeous.
Amnesiac, while excellent, has the worse version of "Morning Bell", so it can't be the best.
it took a long time (as in "years") to click with me, but when it did... damn. It's definitely an album of two distinct halves: the first, tightly rhythmic; the second, much more atmospheric.
EDIT: I do think, however, that "Staircase" should've been there. Man I love that song.
[Unrelated to this piece: records of molecules]
********
<1>
Here is the ion C5H7N2 with charge +1 from the Open Molecules 2025 dataset. Energies are from wB97M-V/def2-TZVPD.

```
14
Properties=species:S:1:pos:R:3
C -0.74 1.15 -2.61
N -0.62 0.29 -1.58
C -0.95 -0.30 -0.60
N -1.08 -0.51 0.65
C -1.20 -1.50 1.74
C -0.09 -0.80 1.82
C 1.20 -0.47 2.25
H -1.32 1.98 -2.42
H 0.16 1.70 -2.87
H -0.91 0.56 -3.53
H -1.90 -2.21 1.92
H 1.35 0.07 3.19
H 1.73 0.06 1.50
H 1.71 -1.36 2.72
```

Properties
- Net charge: +1
- Spin multiplicity: 1
- SMILES: C[N+]#CN1C=C1C
- Orbital gap: 9.2 eV
- LUMO: -4.17 eV

***

<2>
Here is the ion C5H7N2 with charge +1 from the Open Molecules 2025 dataset. Energies are from wB97M-V/def2-TZVPD.

```
14
Properties=species:S:1:pos:R:3
C 0.54 -1.91 1.10
C 0.16 -0.76 0.34
C -0.86 -0.41 -0.47
C -0.42 1.14 -0.76
N -1.12 2.13 -1.25
N 0.78 1.42 -0.40
C 1.16 0.34 0.32
H 1.57 -2.08 0.78
H -0.04 -2.83 1.01
H 0.67 -1.75 2.10
H -1.85 -0.79 -0.54
H -2.10 2.19 -1.68
H -0.66 3.05 -1.34
H 2.18 0.25 0.80
```

Properties
- Net charge: +1
- Spin multiplicity: 1
- SMILES: CC1=CC(=[NH2+])N=C1
- Orbital gap: 8.3 eV
- LUMO: -6.50 eV

***

<3>
Here is the ion C5H7N2 with charge +1 from the Open Molecules 2025 dataset. Energies are from wB97M-V/def2-TZVPD.

```
14
Properties=species:S:1:pos:R:3
C 2.81 -0.12 -0.11
N 1.61 -0.09 0.20
C 0.32 -0.09 0.00
N -0.46 -1.15 -0.09
C -1.82 -0.82 -0.13
C -2.04 0.48 0.04
C -0.68 1.14 0.13
H 3.51 -0.22 0.72
H 3.09 0.04 -1.14
H -0.03 -2.11 0.05
H -2.55 -1.67 -0.17
H -2.79 1.08 0.35
H -0.63 1.63 -0.78
H -0.35 1.90 0.91
```

Properties
- Net charge: +1
- Spin multiplicity: 1
- SMILES: C=NC1=[NH+]C=CC1
- Orbital gap: 9.3 eV
- LUMO: -4.17 eV

***

Name the least stable of them. <1>.

***

<1>
Here is a structure of composition C5H7N2 from the Open Molecules 2025 dataset. Energies are from wB97M-V/def2-TZVPD.

```
14
Properties=species:S:1:pos:R:3
C 0.71 -2.77 0.44
C 0.67 -1.47 0.69
C 0.25 0.41 0.49
C -0.17 1.81 0.46
C -0.65 -0.88 -1.51
N -0.09 -0.63 -0.24
N 1.05 -0.31 1.38
H -0.68 2.28 1.42
H -0.83 2.01 -0.50
H 0.85 2.42 0.43
H -1.44 -1.61 -1.32
H -1.04 0.09 -1.81
H 0.09 -1.24 -2.23
H 1.29 -0.10 2.31
```

Properties
- Net charge: +1
- Spin multiplicity: 1
- Orbital gap: 8.8 eV
- LUMO: -6.26 eV

***

<2>
Here is the ion C5H7N2 with charge +1 from the Open Molecules 2025 dataset. Energies are from wB97M-V/def2-TZVPD.

```
14
Properties=species:S:1:pos:R:3
C 1.34 -0.44 -0.71
C 0.97 -1.63 1.42
C -1.48 -0.06 0.41
C 0.03 1.74 -0.74
C 0.34 0.45 -1.37
N 1.13 -1.03 0.34
N -0.74 0.57 -0.48
H 1.47 -1.37 2.38
H 0.71 -2.65 1.25
H -2.14 -0.91 -0.01
H -2.00 0.48 1.25
H 0.71 1.99 0.00
H -0.56 2.58 -1.26
H 0.23 0.27 -2.48
```

Properties
- Net charge: +1
- Spin multiplicity: 1
- Orbital gap (alpha / beta): 7.9 / 7.9 eV
- LUMO (alpha / beta): -5.31 / -5.31 eV

***

<3>
Here is the ion C5H7N2 with charge +1 from the Open Molecules 2025 dataset. Energies are from wB97M-V/def2-TZVPD.

```
14
Properties=species:S:1:pos:R:3
C 1.23 0.35 0.77
C 0.09 -0.01 1.52
C 2.52 0.57 1.09
C 0.33 0.85 -0.36
********
Yes it is.Subterranean Homesick Alien is secretly the best song on this album.
### Unrelated to this piece: quantum chemistry results
## i
Molecular formula: C3H11NO4
Method: DFT, ωB97M-V/def2-TZVPD

The geometry in XYZ format:
```
19
C3H11NO4, DFT ωB97M-V/def2-TZVPD
O -3.47257 0.09907 0.76983
O 0.85427 -0.59322 -0.42125
O 1.76223 -3.17334 0.03093
O 3.00607 0.35471 -1.73313
N 0.71234 1.65000 -0.23191
C -0.95264 0.22339 0.85779
C -2.29576 0.75492 0.38292
C 0.24771 0.40739 -0.02521
H -1.08069 -0.85943 0.99612
H -3.29181 -0.75448 1.17571
H -0.74628 0.42582 1.91947
H 1.53326 1.68847 -0.78023
H -2.20978 0.69661 -0.71699
H 0.18609 2.48831 -0.07516
H 1.57113 -2.66445 -0.76447
H -2.44030 1.82920 0.53211
H 2.08075 0.04556 -1.75607
H 1.28601 -2.66106 0.69328
H 3.24998 0.04252 -0.85374
```

Computed properties:
- highest occupied orbital energy (eV) = -10.7
- frontier orbital gap (eV) = 11.094
- LUMO level (eV) = 0.41

---

## ii
Molecular formula: C3H11NO4
Method: DFT, ωB97M-V/def2-TZVPD

The geometry in XYZ format:
```
19
C3H11NO4, DFT ωB97M-V/def2-TZVPD
O 0.55959 -1.47863 -0.18477
O 1.25296 0.64413 -2.42045
O -1.64669 -1.62333 -0.13310
O 2.31311 0.19106 -0.06154
N -0.48902 1.11062 1.08466
C -1.75733 1.63603 0.65355
C -0.57632 -0.26774 1.55365
C -0.61379 -1.16945 0.31454
H 0.01975 1.76993 1.66328
H 1.03072 1.31060 -3.06822
H -2.49556 1.89556 1.42005
H 3.15478 -0.27096 -0.10352
H -1.66729 2.40380 -0.11476
H 1.26774 -0.75121 0.02603
H 0.30937 -0.61530 2.07341
H 0.39233 0.23391 -2.25984
H -1.49721 -0.43147 2.09892
H -2.27404 0.87058 0.08207
H 2.09820 0.30456 -1.02952
```

Computed properties:
- highest occupied orbital energy (eV) = -8.7
- frontier orbital gap (eV) = 9.129
- LUMO level (eV) = 0.39

---

The winner here is i, beating the second structure by 0.0061 hartree.

---

## i
Molecular formula: C3H11NO4
Method: DFT, ωB97M-V/def2-TZVPD

The geometry in XYZ format:
```
19
C3H11NO4, DFT ωB97M-V/def2-TZVPD
O 0.64364 0.44937 -2.03981
O 3.09691 2.10893 0.52565
O -0.74621 -1.23279 -1.81885
O -2.98777 -1.66239 0.22313
N -0.35302 1.76113 0.26823
C -0.47509 0.31632 0.12580
C 0.53056 -0.67520 0.77787
C -0.15615 -0.00326 -1.29934
H -3.64757 -2.35352 0.04915
H 0.26743 -1.77217 0.56728
H 2.90847 1.40331 1.20056
H 3.80970 1.51929 0.09837
H -0.73342 2.06572 1.13201
H 1.59047 -0.69577 0.37756
H -1.33833 -1.08540 -2.54101
H 0.66427 -0.56286 1.85692
H -1.60549 0.12049 0.35611
H -2.09564 -1.82274 -0.16904
H 0.62725 2.12153 0.30939
```

Computed properties:
- highest occupied orbital energy (eV) = -9.8
- frontier orbital gap (eV) = 10.294
- LUMO level (eV) = 0.53

---

## ii
Molecular formula: C3H11NO4
Method: DFT, ωB97M-V/def2-TZVPD

The geometry in XYZ format:
```
19
C3H11NO4, DFT ωB97M-V/def2-TZVPD
O 1.43459 -2.90811 0.17520
O 0.33953 1.02330 1.20988
O 2.73823 0.00738 -0.13102
O -1.39134 -2.37858 -0.58792
N -1.34590 -0.11197 -0.65073
C -1.63765 1.20581 -0.08122
C -0.37101 1.93225 0.39953
C -1.41990 -1.31627 -0.00428
H -2.17374 1.83683 -0.80005
H -1.45597 -1.28537 1.09027
H -2.30786 1.12476 0.76421
H 0.97148 0.52820 0.69024
H 1.75285 -2.09364 -0.20311
H -1.30403 -0.05067 -1.65532
### End of the quantum chemistry results
Amnesiac, while excellent, has the worse version of "Morning Bell", so it can't be the best.
The best album changes with the seasons.Ah yes. OK Computer. Radiohead's best album, and their second- and third-best, also probably their fourth. And then there's Kid A, and then the rest.
Yep I'm on Neogaf alright
Hyperbolic alright. I you want people to take you with a modicum of respect, treat them not as dupes and maybe just say you don't like them. What are your top ten albums, just so I can get a taste for your music profile, because I'm intrigued why you hold their recent putput to such low esteem.While I agree it's a hyperbolic statement, there's nothing wrong with dissenting opinions.
I think It's a good album - I'd probably put it in my top maybe....100 of all time. Paranoid Android is IMO, a terrific song that has always reminded me of That Joke Isn't Funny Anymore. There are some hits & misses for me on the LP.
That having been said, I think everything they've done since is total trash and the following they have is beyond me. I'm sure if I listed my favorite LPs lots of people would think that they are garbage though, so it's all subjective.
What a shame that Lift never made the cut.